Elliot Talenfeld
-- Molecular data that have nothing to do with the article --
********
1.
Here is a molecular structure, C46H34N5O5PSTc in a non-equilibrium geometry from the OMol25 dataset. Energies are from ωB97M-V/def2-TZVPD.

Results
LUMO = -3.48 eV
largest force on an atom = 3.92 eV/A
frontier orbital gap = 7.073 eV
E = -3243.19876 a.u.
spin multiplicity = 1
HOMO level = -10.5 eV
net charge = +1

```
93
C46H34N5O5PSTc | the OMol25 dataset | ωB97M-V/def2-TZVPD
Tc -0.47 0.49 0.86
S -1.52 0.28 3.13
C -1.07 -1.43 3.39
N -1.64 -2.08 4.36
N -1.57 -3.33 4.72
C -0.88 -4.31 3.87
C 0.45 -4.63 4.08
C 1.10 -5.46 3.21
C 0.39 -6.03 2.19
C -0.94 -5.81 1.99
C -1.62 -4.90 2.84
N -0.05 -1.98 2.57
N 0.41 -1.32 1.58
C 1.40 -2.06 0.89
C 2.81 -1.76 0.92
C 3.68 -2.61 0.21
C 3.23 -3.61 -0.63
C 1.84 -3.79 -0.72
C 0.96 -3.03 0.05
H -2.16 -3.50 5.55
H 1.01 -4.10 4.85
H 2.13 -5.62 3.35
H 0.96 -6.71 1.63
H -1.47 -6.27 1.17
H -2.73 -4.75 2.66
H 3.18 -1.00 1.60
H 4.68 -2.26 0.44
H 3.88 -4.22 -1.26
H 1.45 -4.66 -1.28
H -0.11 -3.25 0.03
O -1.00 2.39 0.18
C -0.27 3.47 0.30
C 1.05 3.62 0.79
C 1.62 4.86 0.57
C 2.90 5.08 1.03
C 3.69 4.03 1.49
C 3.19 2.78 1.63
C 1.82 2.52 1.31
O 1.37 1.36 1.48
N 3.59 6.37 0.73
O 4.72 6.53 1.02
O 2.90 7.22 0.22
H -0.66 4.39 -0.14
H 1.13 5.76 0.17
H 4.77 4.12 1.78
H 3.74 2.00 2.11
O -2.86 -0.81 0.94
C -1.78 -0.73 0.15
C -1.88 -1.60 -1.03
C -2.88 -2.56 -1.17
C -2.85 -3.24 -2.33
C -2.06 -2.82 -3.36
C -1.05 -1.89 -3.17
C -0.93 -1.28 -1.98
P 0.18 0.21 -1.44
C -0.49 1.60 -2.50
C 0.32 2.56 -3.05
C -0.30 3.68 -3.62
C -1.67 3.88 -3.66
C -2.46 2.80 -3.28
C -1.86 1.67 -2.69
C 1.85 -0.03 -2.17
C 2.90 0.52 -1.42
C 4.24 0.58 -1.91
C 4.47 -0.03 -3.16
C 3.39 -0.56 -3.96
C 2.14 -0.59 -3.42
H -3.53 -2.73 -0.29
H -3.61 -3.99 -2.55
H -2.11 -3.23 -4.29
H -0.43 -1.72 -4.02
H 1.39 2.35 -3.05
H 0.36 4.53 -3.98
H -2.06 4.86 -4.03
H -3.48 2.80 -3.47
H -2.51 1.01 -2.21
H 2.61 0.93 -0.51
H 5.02 1.05 -1.35
H 5.48 -0.14 -3.65
H 3.64 -0.93 -4.93
H 1.39 -0.89 -4.05
C -2.44 0.39 1.58
C -3.44 1.53 1.65
C -3.14 2.73 2.28
C -3.98 3.85 2.14
C -5.04 3.82 1.33
C -5.29 2.72 0.57
C -4.54 1.52 0.80
H -2.38 2.81 2.99
H -3.67 4.65 2.75
H -5.70 4.72 1.37
H -6.14 2.59 -0.05
H -4.74 0.62 0.23
```

2.
Here is 5 unconnected molecules or ions with the total composition C46H36ClF2N4O13P in a non-equilibrium geometry from the OMol25 dataset. Energies are from ωB97M-V/def2-TZVPD.

Results
LUMO = -1.29 eV
largest force on an atom = 4.28 eV/A
frontier orbital gap = 6.306 eV
E = -3972.27805 a.u.
spin multiplicity = 1
HOMO level = -7.6 eV
net charge = 0
SMILES = C#CCc1c2c(c(CC(=O)F)c([C@@H](Cl)CC)c1P(O)O)C(=O)c1ccc(F)cc1C2=O.O=[N+]([O-])c1ccccc1.O=[N+]([O-])c1ccccc1.O=[N+]([O-])c1ccccc1.O=[N+]([O-])c1ccccc1

```
103
C46H36ClF2N4O13P | the OMol25 dataset | ωB97M-V/def2-TZVPD
C 2.95 2.38 3.46
C 2.50 3.28 2.75
C 2.28 4.46 1.73
C 1.73 3.96 0.32
C 0.31 4.24 -0.05
C -0.17 3.71 -1.40
C 0.75 2.93 -2.31
C 0.07 2.43 -3.67
C 0.38 3.43 -4.87
O 0.81 2.98 -5.91
F 0.18 4.81 -4.81
C 2.20 2.62 -1.95
C 3.10 1.78 -2.93
Cl 4.75 2.49 -3.26
C 3.15 0.21 -2.56
C 1.71 -0.47 -2.46
C 2.66 3.16 -0.59
********

(The entry is interrupted by data records)
Record 1
The following is a quantum chemistry calculation of C6H10O2 in the gas phase, from the OMol25 dataset.

Calculated values
max |F| = 3.6 eV Å⁻¹
Kohn-Sham gap = 7.8150 eV
ΔE to the lowest compared entry with this formula, charge and spin = 280.5 kJ/mol
LUMO energy = 0.0027 Eh

Last column: Mulliken charge in e.
Geometry (Å):
C (0.03, 1.08, -1.23)  -1.803
C (-1.46, 0.34, 0.70)  -1.835
C (-0.08, 0.27, 0.06)  1.952
C (1.02, 0.51, 1.01)  -0.504
O (1.99, 1.38, 0.85)  -0.451
H (2.22, 1.42, -0.09)  0.414
H (0.90, 0.19, 2.05)  0.421
H (-0.06, 2.16, -1.04)  0.354
H (-0.78, 0.80, -1.91)  0.387
H (0.96, 0.89, -1.76)  0.470
H (-1.51, -0.26, 1.61)  0.468
H (-2.21, -0.05, 0.00)  0.376
H (-1.74, 1.37, 0.94)  0.419
C (-0.31, -2.29, -0.30)  -1.094
C (0.51, -1.23, -0.19)  0.530
O (1.77, -1.09, -0.04)  -0.642
H (0.14, -3.28, -0.35)  0.325
H (-1.38, -2.20, -0.32)  0.214

Record 2
The following is a quantum chemistry calculation of C6H10O2 in the gas phase, from the OMol25 dataset.

Calculated values
max |F| = 2.2 eV Å⁻¹
Kohn-Sham gap = 10.5130 eV
ΔE to the lowest compared entry with this formula, charge and spin = 515.4 kJ/mol
LUMO energy = 0.0334 Eh
SMILES string = C#C[C@H](C)[C@H](C)OO

Last column: Mulliken charge in e.
Geometry (Å):
C (-0.84, -1.37, 0.49)  -1.388
C (-1.30, 1.16, -1.21)  -1.400
C (-0.22, -0.01, 0.86)  0.645
C (-0.19, 1.09, -0.21)  0.117
H (-0.76, 0.38, 1.73)  0.429
H (-0.06, 2.06, 0.28)  0.320
H (-1.89, -1.40, 0.82)  0.302
H (-0.78, -1.58, -0.58)  0.313
H (-2.26, 1.35, -0.71)  0.368
H (-1.39, 0.24, -1.79)  0.307
H (-1.11, 1.98, -1.91)  0.381
H (-0.35, -2.20, 1.01)  0.400
O (1.21, 0.91, -0.85)  -0.309
O (1.32, -0.23, -1.74)  -0.344
C (1.23, -0.17, 1.21)  -1.062
C (2.32, -0.54, 1.61)  0.114
H (1.94, -0.76, -1.19)  0.337
H (3.14, -0.93, 2.17)  0.469

no.,energy (Eh)
1,-384.99557
2,-384.90608

* * * * *

Formula: C24H23AuGeN2O3
Source: the Open Molecules 2025 dataset
Level of theory: ωB97M-V/def2-TZVPD

The calculation puts the highest occupied orbital energy (alpha / beta) at -10.7 / -10.7 eV. The value obtained for the energy above the lowest of the compared OMol25 structures with the same formula, charge and spin is 1.7 kcal/mol. The total energy comes out at -94580.088 eV. As for the spin multiplicity: 2. The orbital gap (alpha / beta) comes out at 6.2 / 4.3 eV. As for the expectation value of S²: 0.7678. As for the total charge: +1. For the molecular weight, the calculation gives 657.04 g mol⁻¹.

Element x y z (Å)
Au (1.36345, -1.01915, -0.60159)
O (-0.47900, -1.71741, -1.36566)
N (-0.79107, -2.88102, -1.62129)
N (0.23316, -3.78284, -1.45209)
O (1.36098, -3.41977, -1.11348)
C (-0.07930, -5.14699, -1.72553)
C (0.96791, -6.06178, -1.65312)
C (0.69158, -7.39049, -1.90578)
C (-0.60447, -7.78655, -2.21950)
C (-1.63502, -6.85626, -2.28873)
C (-1.38602, -5.51966, -2.04377)
H (1.96564, -5.73023, -1.40680)
H (1.48758, -8.12016, -1.85951)
H (-0.81268, -8.83049, -2.41108)
H (-2.63823, -7.17343, -2.53592)
H (-2.17795, -4.78956, -2.09796)
I have written a book that I would like to share with you. A work of narrative nonfiction, it is the story of my life and relationships, from a “psychospiritual perspective.” Beyond the behavioral events I’ve lived to tell about, my personal process – my thoughts, feelings and conflicts in the course of co-creating and navigating those events – are on full display here; and to a lesser extent, the processes of those whose lives have intertwined with mine. For I have been, for 47 years, a married man.
“What would you say, in a nutshell, is the “psychospiritual” takeaway for the reader?” a friend recently asked. My answer: For a soul in a body, there is nothing more SPIRITUAL than providing physical sustenance for ourselves and our loved ones; becoming fully conscious of the CONFLICTS (both internal and interpersonal) ensuing from that process; and communicating AUTHENTICALLY about those conflicts . . . at least with those we claim to love. In this physical-emotional context, my book suggests, it is our “significant others” who both calibrate and catalyze our personal-spiritual growth. And our love for them – when we manage both to feel and express it – through which we transcend our physicality . . . to glimpse the face of God.
Years ago, M. Scott Peck (“The Road Less Traveled”) urged me to “continue to the end with writing this book, to which you quite obviously seem called.” Now 23 years later, Saybrook Prof. Stanley Krippner, past president of the Society for Humanistic Psychology and one of the founding fathers of Transpersonal Psychology, has heartily recommended it. And Eric Reynolds has graciously invited me to share this information with the readers of ILR.
The book is available at www.amazon.com/dp/B00AVYNFM0 ($7.99 for the paperback and $3.99 for the Kindle). And I look forward to a dialogue with my readers about the ideas expressed . . . or any FEELINGS they may evoke.
“Having known Scott Peck [author of “The Road Less Traveled”], I was intrigued by the history of this book and why Peck urged its execution. I was not disappointed. The author’s “imperfect lens” is skillfully portrayed. His spiritual anguish is painfully frank, without being tawdry. It is inspiring without being saccharine. It moves from the depth to the heights of human existence in vivid prose, taking readers along for the journey. Fasten your seat belts. It’s going to be a bumpy ride! But it is one you won’t want to miss.”
Stanley Krippner, Past Pres. of the Society for Humanistic Psychology
“[A]fter reading Elliot Talenfeld’s book, “Through a Still Imperfect Lens.” I feel breathless . . . The sheer eloquence of expression and the quality and quantity of Elliot’s experiences makes reading this book a thrill ride that will have you tied up in knots, smiling uncontrollably, sad, happy, dismayed, judgmental and ultimately inspired. Elliot is a gifted storyteller who is deeply honest, analytical, and critical of himself when assessing “psycho-spiritual” pursuits and regardless of his conclusions you can’t help but be drawn to him as an advocate, judge, cheerleader, etc., as well as to everyone he characterizes in his book. It’s just great storytelling!”
(1)
DFT (the ωB97M-V functional and the def2-TZVPD basis) results for a cluster of 7 separate species, C45H40N3O12 in total in a non-equilibrium geometry.

Summary:
E_HOMO = -0.41672 hartree
HOMO-LUMO gap = 0.2497 Eh
Net charge = +1

Atoms and positions in Å:
N  1.48954  2.50035  -0.30817
C  1.65060  2.17206  -1.74403
C  1.09274  3.23020  -2.73454
C  0.90762  4.64340  -2.14598
C  -0.35530  5.30826  -2.80494
C  -1.49324  5.23737  -1.73781
C  -1.90584  3.79475  -1.50218
C  -2.79067  3.20892  -2.41271
C  -3.10411  1.88630  -2.17759
C  -2.46764  1.34230  -1.03325
N  -1.67576  1.92059  -0.18720
N  -1.40380  3.18778  -0.45366
H  2.39492  2.77875  0.05523
H  1.25875  1.65670  0.20506
H  2.69114  1.89521  -1.93125
H  1.08313  1.24473  -1.91159
H  1.82159  3.32322  -3.54858
H  0.19367  2.83074  -3.22011
H  0.71803  4.65409  -1.07620
H  1.74928  5.27019  -2.44411
H  -0.17479  6.33780  -3.11062
H  -0.71747  4.73668  -3.66769
H  -2.38374  5.79485  -2.04946
H  -1.15936  5.68500  -0.79657
H  -3.21076  3.74378  -3.25444
H  -3.75901  1.33098  -2.83717
H  -2.66641  0.29062  -0.82901
H  -0.76922  3.66834  0.18141
C  2.39760  8.73253  -0.58103
C  3.15184  9.76261  -0.95549
C  2.67686  10.73425  -1.97318
O  3.36089  11.66978  -2.31681
C  1.32775  10.51127  -2.55396
C  0.57633  9.48019  -2.17710
C  1.05334  8.51295  -1.16186
O  0.36440  7.57010  -0.81634
H  2.72584  8.01315  0.15852
H  4.13637  9.94071  -0.54237
H  0.99766  11.22976  -3.29332
H  -0.40912  9.30118  -2.58911
C  5.59508  -0.57625  2.38106
C  5.42151  0.47805  1.58847
C  4.42648  0.45653  0.48996
O  4.26800  1.41931  -0.23680
C  3.63206  -0.77979  0.30686
C  3.80269  -1.83606  1.09754
C  4.79859  -1.81416  2.19741
O  4.95837  -2.77400  2.92267
H  6.31670  -0.58285  3.18854
H  5.99173  1.39086  1.70536
H  2.91127  -0.77393  -0.50168
H  3.23266  -2.74564  0.97926
C  -9.01893  -0.05907  -1.80151
C  -8.57105  -1.26630  -1.46137
C  -7.15240  -1.48178  -1.09437
O  -6.73839  -2.57973  -0.78522
C  -6.24902  -0.30568  -1.11780
C  -6.69532  0.89925  -1.45707
C  -8.11796  1.11931  -1.82563
O  -8.51841  2.21940  -2.13203
H  -10.05098  0.11988  -2.07363
H  -9.21282  -2.13897  -1.43708
H  -5.21676  -0.48850  -0.84410
H  -6.05251  1.77115  -1.47976
C  2.16041  -5.45326  4.86162
C  2.34077  -4.64163  3.82235
C  1.19910  -3.94046  3.19048
O  1.36008  -3.19834  2.23781
C  -0.14994  -4.17395  3.75740
C  -0.33209  -4.98493  4.79578
C  0.81072  -5.68901  5.43156
O  0.64588  -6.42508  6.37765
H  2.98082  -5.97510  5.33740
H  3.31760  -4.45619  3.39450
H  -0.96959  -3.65144  3.28062
H  -1.30938  -5.16924  5.22338
C  7.59428  -4.34381  1.79363
C  7.50256  -4.93513  0.60512
C  8.65505  -5.65773  0.01233
O  8.57067  -6.19394  -1.07108
C  9.91394  -5.69701  0.79690
C  10.00676  -5.10574  1.98545
C  8.85399  -4.38322  2.57750
O  8.93612  -3.84456  3.66039
H  6.76397  -3.81136  2.24194
H  6.59250  -4.91841  0.01814
H  10.74294  -6.22931  0.34831
H  10.91670  -5.12287  2.57166
C  -8.68617  -7.49870  -0.12720
Author Carl Bozeman
About the Author
Elliot Talenfeld is a former law professor and partner at a prominent law firm, and also holds a master of counseling degree and serves a s Jewish Cantor.